Monday, December 31, 2018

I don't know what to think

I didn't sleep well and woke up with nightmares, had one in which I had eaten chocolate.  Which meant I was now going to get a 7 day migraine.  That's a pretty bad nightmare. 

I got up and watched some TV, did some computer, fed the cats of course.  Ron woke up and we talked. 

I started with "You are scaring me" and led into the story of last night.  He laughed and said I should have never asked him if he was drunk, if I had to ask I knew the answer.  That everything said and done had come from the alcohol. 

Which of course led to the thought: Why are you doing this to us, then?  I then moved onto the mess in the house, the disgusting kitchen floor (I had not cleaned it), his clothes, his bed, etc.  He cleaned the floor himself (an old rag wrapped around his foot served as mop, and did a passable job), stripped his bed, and took off his clothes.  I put everything in the wash after checking it for "landmines". 

He wanted to know where the box of bath wipes had come from: I told him I bought them at Walmart.  Actually, I explained, since he had paid me back for them already he had bought them. 

I took a shower while he talked to me from outside the room.  He worked on emptying his urinals.  He hasn't been this productive in a long while. 

He had been drinking when the last occurred.  We were talking about our plans for the week, and I told him I didn't care what days we worked, during the week. 

"But I have to pay you" he said "Tomorrow".  Oh boy. 

He paid me last week, and my pay is enough that I'd think he'd remember doing it.  I told him he had paid me already, and "This was the sort of thing that was scaring me". 

He said he just forgot, and praised me for my honesty. 

I don't know what to think. 


Anonymous said...

I think having to search Ron's bed for excrement is really a new low for both him and you. Seriously can he be anymore disgusting?

Heather Knits said...

Where did I say that?

His bed was a mess, in part because he eats in it. Plus he got in the bed after he threw up, and was "messy".

-- Attached: records of crystals --
********
Entry 1:
NaMgZnCd (PBE, optimized geometry); total moment = 0.00 μB per atom; calculated total energy = -1.2780 eV/atom; calculated formation energy = 0.00 eV per atom; V = 87.6 Å³/f.u.
1.0
-3.383 3.660 0.053
-4.290 -0.607 2.464
-0.846 2.551 4.198
Zn Na Cd Mg
1 1 1 1
direct
0.250 0.250 0.250
0.500 0.500 0.500
0.750 0.750 0.750
0.000 0.000 0.000

---

Entry 2:
K2Pb12Au7 (PBE, optimized geometry); total moment = 0.00 μB per atom; calculated total energy = -3.4528 eV/atom; calculated formation energy = -0.14 eV per atom; V = 600.3 Å³/f.u.
1.0
4.726 0.000 0.000
0.000 10.489 -6.056
0.000 0.000 12.111
Pb Au K
12 7 2
direct
0.500 0.553 0.772
0.000 0.052 0.536
0.000 0.773 0.744
0.500 0.711 0.105
0.000 0.484 0.948
0.000 0.464 0.516
0.500 0.394 0.289
0.000 0.971 0.227
0.000 0.256 0.029
0.500 0.895 0.606
0.500 0.219 0.447
0.500 0.228 0.781
0.000 0.333 0.667
0.000 0.747 0.969
0.500 0.428 0.067
0.500 0.933 0.362
0.500 0.638 0.572
0.000 0.222 0.253
0.000 0.031 0.778
0.500 0.000 0.000
0.000 0.667 0.333

---

Entry 3:
DySc3Pd2 (PBE, optimized geometry); total moment = 0.00 μB per atom; energy relative to the lowest polymorph listed for this composition = 0 meV/atom; calculated total energy = -6.3012 eV/atom; calculated formation energy = -0.64 eV per atom; V = 130.5 Å³/f.u.
1.0
-4.470 -0.857 -0.889
1.779 -3.849 -5.235
0.285 -6.680 5.008
Sc Pd Dy
6 4 2
direct
0.500 0.146 0.834
0.000 0.481 0.930
0.000 0.856 0.683
0.000 0.356 0.317
0.000 0.981 0.070
0.500 0.646 0.166
0.000 0.253 0.657
0.000 0.753 0.343
0.500 0.247 0.149
0.500 0.747 0.851
0.500 0.017 0.428
0.500 0.517 0.572


[1]
Material: Ba3Sr4Pd2
Method: DFT, GGA-PBE
State: relaxed

Calculated values
For the total DFT energy (no corrections), the calculation gives -2.811 eV/atom. The value obtained for the magnetization is 0.0 μB per formula unit. For the formation enthalpy at 0 K, the calculation gives -0.27 eV per atom.

a = 20.9766 Å, b = 4.4193 Å, c = 10.6620 Å
α = 90.00°, β = 116.67°, γ = 90.00°
Last column: nearest neighbours and their distance in Å.
Space group C2/m (No. 12)
Symmetry-distinct sites (fractional):
Ba: 0.0000 0.0000 0.0000 [2 per cell]  2 Sr 4.13, 2 Ba 4.42
Ba: 0.1443 0.5000 0.8277 [4 per cell]  1 Pd 3.13
Sr: 0.0748 0.0000 0.4307 [4 per cell]  2 Pd 3.01
Sr: 0.2080 0.5000 0.3067 [4 per cell]  3 Pd 3.05-3.14
Pd: 0.1802 0.5000 0.5731 [4 per cell]  5 Sr 3.01-3.14, 1 Ba 3.13

[2]
Material: Ba3SrPd
Method: DFT, GGA-PBE
State: relaxed

Calculated values
For the total DFT energy (no corrections), the calculation gives -1.580 eV/atom. The value obtained for the magnetization is 4.0 μB per formula unit. For the offset from the most stable computed form, the calculation gives 1222 meV per atom. For the formation enthalpy at 0 K, the calculation gives 0.95 eV per atom.

a = 6.8081 Å, b = 6.8081 Å, c = 6.8081 Å
α = 90.00°, β = 90.00°, γ = 90.00°
Last column: nearest neighbours and their distance in Å.
Space group Pm-3m (No. 221)
Symmetry-distinct sites (fractional):
********
-- End of the records of crystals --

About the only toilet related thing with Ron's bed are the urinal bottles he keeps underneath.

I am actually curious to see what kind of job the washer did on the soiled clothes. Between the sheet and clothes it was a pretty hefty order.

Anonymous said...

What did you mean by “land mines” then? Like the other anonymous I took that as poop lol. That’s what a landmine usually means.

Was there a trail of tomato sauce from the kitchen all over the house and into his bed, too? Ugh. Even if you didn’t mean poop=landmine, this is getting out of hand. Maybe save some money to pay someone to help get the house cleaned out so you can keep up keeping clean easier so when Ron’s body has to be extracted it won’t be so bad on you.

Heather Knits said...

OH, to me, "land mines" are things in his pockets that will f^ck up the washer if I don't take them out, paper towels, coins, stuff like that. He loves to put paper towels in his pants pocket or shirt pocket. And, sure enough, I found one.

He got puke on him, rolled to bed, it transferred.

If Ron kills himself with bad living it's going to be a mess regardless. I just try to keep the chaos down to a dull roar.

Heather Knits said...

Edit to add: the washer did a great job getting everything clean.